### Material
____________
# Ti4In2Fe, relaxed, DFT PBE
# mass density = 5.63 Mg/m³
# formation energy from the elements = 0.19 eV/atom
# total magnetic moment = 0.00 μB per atom
# N(E_F) = 9.854 states/eV/f.u.
# final energy = -6.31 eV/atom
data_Ti4In2Fe
_cell_length_a 4.394
_cell_length_b 4.394
_cell_length_c 14.581
_cell_angle_alpha 90.00
_cell_angle_beta 90.00
_cell_angle_gamma 90.00
_symmetry_space_group_name_H-M 'I 4/m m m'
_symmetry_Int_Tables_number 139
_symmetry_space_group_name_Hall '-I 4 2'
loop_
_atom_site_label
_atom_site_fract_x
_atom_site_fract_y
_atom_site_fract_z
_atom_site_occupancy
Ti1 0.000 0.000 0.163 1
Ti2 0.000 0.500 0.000 1
In1 0.000 0.000 0.358 1
Fe1 0.000 0.000 0.000 1

~~~~~

Entry 1:
Material: TlAgTe2OsS
Method: DFT, PBE-GGA
State: optimized geometry Values from VASP.

```
&SYSTEM
  ibrav = 0, nat = 12, ntyp = 5
/
ATOMIC_SPECIES
Tl 204.38 Tl.upf
Te 127.60 Te.upf
Os 190.23 Os.upf
Ag 107.87 Ag.upf
S 32.06 S.upf
ATOMIC_POSITIONS crystal
Tl 0.240 0.760 0.250
Tl 0.760 0.240 0.750
Te 0.622 0.378 0.014
Te 0.378 0.622 0.986
Te 0.378 0.622 0.514
Te 0.622 0.378 0.486
Os 0.000 0.000 0.000
Os 0.000 0.000 0.500
Ag 0.535 0.465 0.250
Ag 0.465 0.535 0.750
S 0.063 0.937 0.750
S 0.937 0.063 0.250
CELL_PARAMETERS angstrom
2.003 -7.560 0.000
2.003 7.560 0.000
0.000 0.000 9.932
```

Output
Space-group type   Cmcm
Uncorrected energy   -51.425 eV/cell

Entry 2:
Material: TlAg3OsS4
Method: DFT, PBE-GGA
State: optimized geometry Values from VASP.

```
&SYSTEM
  ibrav = 0, nat = 9, ntyp = 4
/
ATOMIC_SPECIES
Ag 107.87 Ag.upf
S 32.06 S.upf
Tl 204.38 Tl.upf
Os 190.23 Os.upf
ATOMIC_POSITIONS crystal
Ag 0.000 0.500 0.000
Ag 0.500 0.000 0.000
Ag 0.000 0.000 0.500
S 0.788 0.212 0.212
S 0.788 0.788 0.788
S 0.212 0.212 0.788
S 0.212 0.788 0.212
Tl 0.500 0.500 0.500
Os 0.000 0.000 0.000
CELL_PARAMETERS angstrom
6.235 0.000 0.000
0.000 6.235 0.000
0.000 0.000 6.235
```

Output
Space-group type   P-43m
Uncorrected energy   -37.990 eV/cell

Entry 3:
Material: AgSb5Os3
Method: DFT, PBE-GGA
State: optimized geometry Values from VASP.

```
&SYSTEM
  ibrav = 0, nat = 9, ntyp = 3
/
ATOMIC_SPECIES
Sb 121.76 Sb.upf
Os 190.23 Os.upf
Ag 107.87 Ag.upf
ATOMIC_POSITIONS crystal
Sb 0.000 0.000 0.500
Sb 0.333 0.667 0.223
Sb 0.333 0.667 0.777
Sb 0.667 0.333 0.777
Sb 0.667 0.333 0.223
Os 0.500 0.500 0.500
Os 0.500 0.000 0.500
Os 0.000 0.500 0.500
Ag 0.000 0.000 0.000
CELL_PARAMETERS angstrom
5.640 0.000 0.000
-2.820 4.884 0.000
0.000 0.000 7.904
```

Output
Space-group type   P6/mmm
Uncorrected energy   -53.102 eV/cell

Entry 4:
Material: Ag2SbOs
Method: DFT, PBE-GGA
State: optimized geometry Values from VASP.

```
&SYSTEM
  ibrav = 0, nat = 4, ntyp = 3
/
ATOMIC_SPECIES
Ag 107.87 Ag.upf
Os 190.23 Os.upf
Sb 121.76 Sb.upf
ATOMIC_POSITIONS crystal
Ag 0.000 0.000 0.000
Ag 0.750 0.750 0.750
Os 0.250 0.250 0.250
Sb 0.500 0.500 0.500
CELL_PARAMETERS angstrom
0.000 3.280 3.280
3.280 0.000 3.280
3.280 3.280 0.000
```

Output
Space-group type   F-43m
Uncorrected energy   -18.872 eV/cell

Entry 5:
Material: Sc2AgOs
Method: DFT, PBE-GGA
State: optimized geometry Values from VASP.

```
&SYSTEM
  ibrav = 0, nat = 24, ntyp = 3
/
ATOMIC_SPECIES
Ag 107.87 Ag.upf
Sc 44.96 Sc.upf
Os 190.23 Os.upf
ATOMIC_POSITIONS crystal
Ag 0.000 0.500 0.000
Ag 0.500 0.000 0.500
Ag 0.500 0.000 0.167
Ag 0.000 0.500 0.667
Ag 0.500 0.000 0.833
Ag 0.000 0.500 0.333
Sc 0.000 0.750 0.833
Sc 0.500 0.250 0.000
Sc 0.500 0.750 0.000
Sc 0.500 0.250 0.667
Sc 0.500 0.250 0.333
Sc 0.500 0.750 0.667
Sc 0.000 0.750 0.500
Sc 0.500 0.750 0.333
Sc 0.000 0.250 0.167
Sc 0.000 0.250 0.500
Sc 0.000 0.750 0.167
Sc 0.000 0.250 0.833
Os 0.500 0.500 0.167
Os 0.500 0.500 0.500
Os 0.500 0.500 0.833
Os 0.000 0.000 0.667
Os 0.000 0.000 0.000
Os 0.000 0.000 0.333
CELL_PARAMETERS angstrom
-4.052 1.589 1.690
-3.273 -3.747 -4.323
-0.243 -10.489 9.276
```

Output
Space-group type   I4/mmm
Polymorph energy (0 for the lowest one)   75.6 meV per atom

Entry 6:
Material: Sc2AgOs
Method: DFT, PBE-GGA
State: optimized geometry Values from VASP.

```
____________

### To do
Could you echo the whole of the lines above verbatim?

### Completed
# Ti4In2Fe, relaxed, DFT PBE
# mass density = 5.63 Mg/m³
# formation energy from the elements = 0.19 eV/atom
# total magnetic moment = 0.00 μB per atom
# N(E_F) = 9.854 states/eV/f.u.
# final energy = -6.31 eV/atom
data_Ti4In2Fe
_cell_length_a 4.394
_cell_length_b 4.394
_cell_length_c 14.581
_cell_angle_alpha 90.00
_cell_angle_beta 90.00
_cell_angle_gamma 90.00
_symmetry_space_group_name_H-M 'I 4/m m m'
_symmetry_Int_Tables_number 139
_symmetry_space_group_name_Hall '-I 4 2'
loop_
_atom_site_label
_atom_site_fract_x
_atom_site_fract_y
_atom_site_fract_z
_atom_site_occupancy
Ti1 0.000 0.000 0.163 1
Ti2 0.000 0.500 0.000 1
In1 0.000 0.000 0.358 1
Fe1 0.000 0.000 0.000 1

~~~~~

Entry 1:
Material: TlAgTe2OsS
Method: DFT, PBE-GGA
State: optimized geometry Values from VASP.

```
&SYSTEM
  ibrav = 0, nat = 12, ntyp = 5
/
ATOMIC_SPECIES
Tl 204.38 Tl.upf
Te 127.60 Te.upf
Os 190.23 Os.upf
Ag 107.87 Ag.upf
S 32.06 S.upf
ATOMIC_POSITIONS crystal
Tl 0.240 0.760 0.250
Tl 0.760 0.240 0.750
Te 0.622 0.378 0.014
Te 0.378 0.622 0.986
Te 0.378 0.622 0.514
Te 0.622 0.378 0.486
Os 0.000 0.000 0.000
Os 0.000 0.000 0.500
Ag 0.535 0.465 0.250
Ag 0.465 0.535 0.750
S 0.063 0.937 0.750
S 0.937 0.063 0.250
CELL_PARAMETERS angstrom
2.003 -7.560 0.000
2.003 7.560 0.000
0.000 0.000 9.932
```

Output
Space-group type   Cmcm
Uncorrected energy   -51.425 eV/cell

Entry 2:
Material: TlAg3OsS4
Method: DFT, PBE-GGA
State: optimized geometry Values from VASP.

```
&SYSTEM
  ibrav = 0, nat = 9, ntyp = 4
/
ATOMIC_SPECIES
Ag 107.87 Ag.upf
S 32.06 S.upf
Tl 204.38 Tl.upf
Os 190.23 Os.upf
ATOMIC_POSITIONS crystal
Ag 0.000 0.500 0.000
Ag 0.500 0.000 0.000
Ag 0.000 0.000 0.500
S 0.788 0.212 0.212
S 0.788 0.788 0.788
S 0.212 0.212 0.788
S 0.212 0.788 0.212
Tl 0.500 0.500 0.500
Os 0.000 0.000 0.000
CELL_PARAMETERS angstrom
6.235 0.000 0.000
0.000 6.235 0.000
0.000 0.000 6.235
```

Output
Space-group type   P-43m
Uncorrected energy   -37.990 eV/cell

Entry 3:
Material: AgSb5Os3
Method: DFT, PBE-GGA
State: optimized geometry Values from VASP.

```
&SYSTEM
  ibrav = 0, nat = 9, ntyp = 3
/
ATOMIC_SPECIES
Sb 121.76 Sb.upf
Os 190.23 Os.upf
Ag 107.87 Ag.upf
ATOMIC_POSITIONS crystal
Sb 0.000 0.000 0.500
Sb 0.333 0.667 0.223
Sb 0.333 0.667 0.777
Sb 0.667 0.333 0.777
Sb 0.667 0.333 0.223
Os 0.500 0.500 0.500
Os 0.500 0.000 0.500
Os 0.000 0.500 0.500
Ag 0.000 0.000 0.000
CELL_PARAMETERS angstrom
5.640 0.000 0.000
-2.820 4.884 0.000
0.000 0.000 7.904
```

Output
Space-group type   P6/mmm
Uncorrected energy   -53.102 eV/cell

Entry 4:
Material: Ag2SbOs
Method: DFT, PBE-GGA
State: optimized geometry Values from VASP.

```
&SYSTEM
  ibrav = 0, nat = 4, ntyp = 3
/
ATOMIC_SPECIES
Ag 107.87 Ag.upf
Os 190.23 Os.upf
Sb 121.76 Sb.upf
ATOMIC_POSITIONS crystal
Ag 0.000 0.000 0.000
Ag 0.750 0.750 0.750
Os 0.250 0.250 0.250
Sb 0.500 0.500 0.500
CELL_PARAMETERS angstrom
0.000 3.280 3.280
3.280 0.000 3.280
3.280 3.280 0.000
```

Output
Space-group type   F-43m
Uncorrected energy   -18.872 eV/cell

Entry 5:
Material: Sc2AgOs
Method: DFT, PBE-GGA
State: optimized geometry Values from VASP.

```
&SYSTEM
  ibrav = 0, nat = 24, ntyp = 3
/
ATOMIC_SPECIES
Ag 107.87 Ag.upf
Sc 44.96 Sc.upf
Os 190.23 Os.upf
ATOMIC_POSITIONS crystal
Ag 0.000 0.500 0.000
Ag 0.500 0.000 0.500
Ag 0.500 0.000 0.167
Ag 0.000 0.500 0.667
Ag 0.500 0.000 0.833
Ag 0.000 0.500 0.333
Sc 0.000 0.750 0.833
Sc 0.500 0.250 0.000
Sc 0.500 0.750 0.000
Sc 0.500 0.250 0.667
Sc 0.500 0.250 0.333
Sc 0.500 0.750 0.667
Sc 0.000 0.750 0.500
Sc 0.500 0.750 0.333
Sc 0.000 0.250 0.167
Sc 0.000 0.250 0.500
Sc 0.000 0.750 0.167
Sc 0.000 0.250 0.833
Os 0.500 0.500 0.167
Os 0.500 0.500 0.500
Os 0.500 0.500 0.833
Os 0.000 0.000 0.667
Os 0.000 0.000 0.000
Os 0.000 0.000 0.333
CELL_PARAMETERS angstrom
-4.052 1.589 1.690
-3.273 -3.747 -4.323
-0.243 -10.489 9.276
```

Output
Space-group type   I4/mmm
Polymorph energy (0 for the lowest one)   75.6 meV per atom

Entry 6:
Material: Sc2AgOs
Method: DFT, PBE-GGA
State: optimized geometry Values from VASP.

```